[Wanted]
Next, print the lines underneath from the one with "0.027 0.750" to the one with "0.250 0.250" without additions.

[Material]
┌──
Below is a geometry-optimized NdGePd2 structure, with properties calculated at the GGA-PBE level.

a b c (Å): 7.594 7.140 5.802
angles (deg): 90.00 90.00 90.00
Fractional coordinates of all 16 atoms:
Nd: 0.024 0.250 0.145
Nd: 0.476 0.750 0.645
Nd: 0.524 0.250 0.355
Nd: 0.976 0.750 0.855
Ge: 0.122 0.750 0.357
Ge: 0.378 0.250 0.857
Ge: 0.622 0.750 0.143
Ge: 0.878 0.250 0.643
Pd: 0.181 0.053 0.589
Pd: 0.181 0.447 0.589
Pd: 0.319 0.553 0.089
Pd: 0.319 0.947 0.089
Pd: 0.681 0.053 0.911
Pd: 0.681 0.447 0.911
Pd: 0.819 0.553 0.411
Pd: 0.819 0.947 0.411

Computed properties:
The formation energy from the elements comes out at -0.87 eV/atom.

----------

1.
EuIBr | PBE-GGA | optimized geometry

Crystal system: orthorhombic
Formation energy, kcal/mol of atoms: -46.25

```
EuIBr
1.0
8.473 0.000 0.000
0.000 4.812 0.000
0.000 0.000 9.806
Eu I Br
4 4 4
direct
0.226 0.250 0.128 Eu
0.274 0.750 0.628 Eu
0.726 0.250 0.372 Eu
0.774 0.750 0.872 Eu
0.027 0.750 0.333 I
0.473 0.250 0.833 I
0.527 0.750 0.167 I
0.973 0.250 0.667 I
0.145 0.750 0.935 Br
0.355 0.250 0.435 Br
0.645 0.750 0.565 Br
0.855 0.250 0.065 Br
```


2.
NdCd3 | PBE-GGA | optimized geometry

Crystal system: cubic
Formation energy, kcal/mol of atoms: -7.07

```
NdCd3
1.0
0.000 3.661 3.661
3.661 0.000 3.661
3.661 3.661 0.000
Nd Cd
1 3
direct
0.000 0.000 0.000 Nd
0.250 0.250 0.250 Cd
0.500 0.500 0.500 Cd
0.750 0.750 0.750 Cd
```


3.
MgSi2 | PBE-GGA | optimized geometry

Distance to the lowest polymorph of the same formula, eV/atom: 0.081
Crystal system: orthorhombic
Formation energy, kcal/mol of atoms: 3.65

```
MgSi2
1.0
-2.012 3.231 3.923
2.012 -3.231 3.923
2.012 3.231 -3.923
Mg Si
2 4
direct
0.329 0.079 0.250 Mg
0.671 0.921 0.750 Mg
0.089 0.650 0.439 Si
0.289 0.350 0.939 Si
0.711 0.650 0.061 Si
0.911 0.350 0.561 Si
```


4.
SiO2 | PBE-GGA | optimized geometry

Largest piezoelectric modulus, C/m2: 0.16
Crystal system: tetragonal
Formation energy, kcal/mol of atoms: -71.97

```
SiO2
1.0
6.601 0.000 0.000
0.000 6.601 0.000
0.000 0.000 8.138
Si O
8 16
direct
0.039 0.260 0.404 Si
0.039 0.740 0.904 Si
0.260 0.039 0.096 Si
0.260 0.961 0.596 Si
0.740 0.039 0.596 Si
0.740 0.961 0.096 Si
0.961 0.260 0.904 Si
0.961 0.740 0.404 Si
0.000 0.500 0.387 O
0.000 0.500 0.887 O
0.166 0.191 0.570 O
0.166 0.809 0.070 O
0.175 0.175 0.250 O
0.175 0.825 0.750 O
0.191 0.166 0.930 O
0.191 0.834 0.430 O
0.500 0.000 0.113 O
0.500 0.000 0.613 O
0.809 0.166 0.430 O
0.809 0.834 0.930 O
0.825 0.175 0.750 O
0.825 0.825 0.250 O
0.834 0.191 0.070 O
0.834 0.809 0.570 O
```


5.
BaMo2N4 | PBE-GGA | optimized geometry

Crystal system: cubic
Formation energy, kcal/mol of atoms: -15.66

```
BaMo2N4
1.0
11.204 0.000 0.000
0.000 11.204 0.000
0.000 0.000 11.204
Ba Mo N
12 24 48
direct
0.000 0.000 0.000 Ba
0.000 0.500 0.500 Ba
0.129 0.629 0.871 Ba
0.129 0.871 0.371 Ba
0.371 0.129 0.871 Ba
0.371 0.371 0.371 Ba
0.500 0.000 0.500 Ba
0.500 0.500 0.000 Ba
0.629 0.629 0.629 Ba
0.629 0.871 0.129 Ba
0.871 0.129 0.629 Ba
0.871 0.371 0.129 Ba
0.104 0.194 0.348 Mo
0.104 0.306 0.848 Mo
0.152 0.604 0.194 Mo
0.152 0.896 0.694 Mo
0.194 0.152 0.604 Mo
0.194 0.348 0.104 Mo
0.306 0.652 0.604 Mo
0.306 0.848 0.104 Mo
0.348 0.104 0.194 Mo
0.348 0.396 0.694 Mo
0.396 0.694 0.348 Mo
0.396 0.806 0.848 Mo
0.604 0.194 0.152 Mo
0.604 0.306 0.652 Mo
0.652 0.604 0.306 Mo
0.652 0.896 0.806 Mo
0.694 0.152 0.896 Mo
0.694 0.348 0.396 Mo
0.806 0.652 0.896 Mo
0.806 0.848 0.396 Mo
0.848 0.104 0.306 Mo
0.848 0.396 0.806 Mo
0.896 0.694 0.152 Mo
0.896 0.806 0.652 Mo
0.011 0.072 0.267 N
0.011 0.428 0.767 N
0.072 0.233 0.511 N
0.072 0.267 0.011 N
0.122 0.162 0.758 N
0.122 0.338 0.258 N
0.162 0.742 0.622 N
0.162 0.758 0.122 N
0.233 0.511 0.072 N
0.233 0.989 0.572 N
0.242 0.622 0.338 N
0.242 0.878 0.838 N
0.258 0.122 0.338 N
0.258 0.378 0.838 N
0.267 0.011 0.072 N
0.267 0.489 0.572 N
0.338 0.242 0.622 N
0.338 0.258 0.122 N
0.378 0.662 0.758 N
0.378 0.838 0.258 N
0.428 0.733 0.511 N
0.428 0.767 0.011 N
0.489 0.572 0.267 N
0.489 0.928 0.767 N
0.511 0.072 0.233 N
└──

[Result]
0.027 0.750 0.333 I
0.473 0.250 0.833 I
0.527 0.750 0.167 I
0.973 0.250 0.667 I
0.145 0.750 0.935 Br
0.355 0.250 0.435 Br
0.645 0.750 0.565 Br
0.855 0.250 0.065 Br
```


2.
NdCd3 | PBE-GGA | optimized geometry

Crystal system: cubic
Formation energy, kcal/mol of atoms: -7.07

```
NdCd3
1.0
0.000 3.661 3.661
3.661 0.000 3.661
3.661 3.661 0.000
Nd Cd
1 3
direct
0.000 0.000 0.000 Nd
0.250 0.250 0.250 Cd